To do:
Start at the top of the rows below and duplicate each line, ending with the one that has "0.654 0.445".

Entries:
-- begin --
1.
The following is a DFT calculation (PBE+U) of a relaxed structure of Mg14CrNiO16.

The structure in CIF format:
```
data_Mg14CrNiO16
_chemical_formula_sum 'Mg14 Cr1 Ni1 O16'
_cell_length_a 4.299
_cell_length_b 8.496
_cell_length_c 8.513
_cell_angle_alpha 90.00
_cell_angle_beta 90.00
_cell_angle_gamma 90.00
_space_group_name_H-M_alt 'P m m m'
_space_group_IT_number 47
_space_group_name_Hall '-P 2 2'
loop_
_atom_site_label
_atom_site_type_symbol
_atom_site_fract_x
_atom_site_fract_y
_atom_site_fract_z
Mg1 Mg 0.000 0.000 0.000
Mg2 Mg 0.000 0.000 0.500
Mg3 Mg 0.000 0.250 0.247
Mg4 Mg 0.500 0.000 0.249
Mg5 Mg 0.500 0.250 0.500
Mg6 Mg 0.500 0.252 0.000
Mg7 Mg 0.500 0.500 0.247
Cr1 Cr 0.000 0.500 0.500
Ni1 Ni 0.000 0.500 0.000
O1 O 0.000 0.000 0.251
O2 O 0.000 0.246 0.000
O3 O 0.000 0.249 0.500
O4 O 0.000 0.500 0.255
O5 O 0.500 0.000 0.000
O6 O 0.500 0.000 0.500
O7 O 0.500 0.251 0.250
O8 O 0.500 0.500 0.000
O9 O 0.500 0.500 0.500
```

Calculated values
**Crystal system**: orthorhombic
**E**: -6.01 eV per atom


2.
The following is a DFT calculation (PBE+U) of a relaxed structure of Li4Ni5O10.

The structure in CIF format:
```
data_Li4Ni5O10
_chemical_formula_sum 'Li8 Ni10 O20'
_cell_length_a 6.520
_cell_length_b 7.462
_cell_length_c 7.627
_cell_angle_alpha 85.00
_cell_angle_beta 89.84
_cell_angle_gamma 64.81
_space_group_name_H-M_alt 'P -1'
_space_group_IT_number 2
_space_group_name_Hall '-P 1'
loop_
_atom_site_label
_atom_site_type_symbol
_atom_site_fract_x
_atom_site_fract_y
_atom_site_fract_z
Li1 Li 0.097 0.081 0.096
Li2 Li 0.241 0.006 0.749
Li3 Li 0.305 0.292 0.300
Li4 Li 0.395 0.904 0.397
Ni1 Ni 0.000 0.500 0.000
Ni2 Ni 0.048 0.800 0.548
Ni3 Ni 0.145 0.399 0.654
Ni4 Ni 0.352 0.601 0.850
Ni5 Ni 0.455 0.198 0.951
Ni6 Ni 0.500 0.500 0.500
O1 O 0.028 0.647 0.760
O2 O 0.070 0.962 0.351
O3 O 0.152 0.260 0.876
O4 O 0.172 0.549 0.451
O5 O 0.244 0.167 0.529
O6 O 0.258 0.834 0.964
O7 O 0.332 0.439 0.054
O8 O 0.353 0.741 0.628
O9 O 0.426 0.046 0.150
O10 O 0.459 0.356 0.742
```

Calculated values
**E above lowest polymorph**: 37 meV/atom
**Crystal system**: triclinic


3.
The following is a DFT calculation (PBE+U) of a relaxed structure of Ti5Fe11O24.

The structure in CIF format:
```
data_Ti5Fe11O24
_chemical_formula_sum 'Ti5 Fe11 O24'
_cell_length_a 5.539
_cell_length_b 9.149
_cell_length_c 9.160
_cell_angle_alpha 68.50
_cell_angle_beta 85.28
_cell_angle_gamma 85.01
_space_group_name_H-M_alt 'P 1'
_space_group_IT_number 1
_space_group_name_Hall 'P 1'
loop_
_atom_site_label
_atom_site_type_symbol
_atom_site_fract_x
_atom_site_fract_y
_atom_site_fract_z
Ti1 Ti 0.000 0.000 0.000
Ti2 Ti 0.003 0.492 0.502
Ti3 Ti 0.084 0.640 0.145
Ti4 Ti 0.500 0.000 0.501
Ti5 Ti 0.504 0.496 0.998
Fe1 Fe 0.007 0.746 0.749
Fe2 Fe 0.082 0.144 0.643
Fe3 Fe 0.087 0.390 0.899
Fe4 Fe 0.088 0.894 0.399
Fe5 Fe 0.504 0.248 0.752
Fe6 Fe 0.504 0.749 0.251
Fe7 Fe 0.581 0.392 0.396
Fe8 Fe 0.584 0.143 0.150
Fe9 Fe 0.584 0.893 0.894
Fe10 Fe 0.588 0.643 0.649
Fe11 Fe 0.989 0.244 0.249
O1 O 0.141 0.457 0.105
O2 O 0.144 0.855 0.193
O3 O 0.150 0.952 0.591
O4 O 0.154 0.354 0.681
O5 O 0.270 0.051 0.856
O6 O 0.279 0.550 0.355
O7 O 0.303 0.094 0.300
O8 O 0.305 0.592 0.801
O9 O 0.442 0.681 0.058
O10 O 0.445 0.792 0.448
O11 O 0.454 0.177 0.558
O12 O 0.459 0.292 0.949
O13 O 0.638 0.351 0.183
O14 O 0.640 0.853 0.684
O15 O 0.647 0.944 0.104
O16 O 0.654 0.445 0.607
O17 O 0.773 0.547 0.859
O18 O 0.786 0.039 0.360
O19 O 0.799 0.102 0.799
O20 O 0.805 0.606 0.290
O21 O 0.950 0.687 0.537
O22 O 0.951 0.300 0.450
O23 O 0.954 0.180 0.051
O24 O 0.959 0.790 0.963
```

Calculated values
**E above lowest polymorph**: 234 meV/atom
**Crystal system**: triclinic


4.
The following is a DFT calculation (PBE+U) of a relaxed structure of Sr3CaTi2Mn2O12.

The structure in CIF format:
```
data_Sr3CaTi2Mn2O12
_chemical_formula_sum 'Sr12 Ca4 Ti8 Mn8 O48'
_cell_length_a 11.019
_cell_length_b 11.020
_cell_length_c 7.784
_cell_angle_alpha 90.00
_cell_angle_beta 90.00
_cell_angle_gamma 90.00
-- stop --

Response:
1.
The following is a DFT calculation (PBE+U) of a relaxed structure of Mg14CrNiO16.

The structure in CIF format:
```
data_Mg14CrNiO16
_chemical_formula_sum 'Mg14 Cr1 Ni1 O16'
_cell_length_a 4.299
_cell_length_b 8.496
_cell_length_c 8.513
_cell_angle_alpha 90.00
_cell_angle_beta 90.00
_cell_angle_gamma 90.00
_space_group_name_H-M_alt 'P m m m'
_space_group_IT_number 47
_space_group_name_Hall '-P 2 2'
loop_
_atom_site_label
_atom_site_type_symbol
_atom_site_fract_x
_atom_site_fract_y
_atom_site_fract_z
Mg1 Mg 0.000 0.000 0.000
Mg2 Mg 0.000 0.000 0.500
Mg3 Mg 0.000 0.250 0.247
Mg4 Mg 0.500 0.000 0.249
Mg5 Mg 0.500 0.250 0.500
Mg6 Mg 0.500 0.252 0.000
Mg7 Mg 0.500 0.500 0.247
Cr1 Cr 0.000 0.500 0.500
Ni1 Ni 0.000 0.500 0.000
O1 O 0.000 0.000 0.251
O2 O 0.000 0.246 0.000
O3 O 0.000 0.249 0.500
O4 O 0.000 0.500 0.255
O5 O 0.500 0.000 0.000
O6 O 0.500 0.000 0.500
O7 O 0.500 0.251 0.250
O8 O 0.500 0.500 0.000
O9 O 0.500 0.500 0.500
```

Calculated values
**Crystal system**: orthorhombic
**E**: -6.01 eV per atom


2.
The following is a DFT calculation (PBE+U) of a relaxed structure of Li4Ni5O10.

The structure in CIF format:
```
data_Li4Ni5O10
_chemical_formula_sum 'Li8 Ni10 O20'
_cell_length_a 6.520
_cell_length_b 7.462
_cell_length_c 7.627
_cell_angle_alpha 85.00
_cell_angle_beta 89.84
_cell_angle_gamma 64.81
_space_group_name_H-M_alt 'P -1'
_space_group_IT_number 2
_space_group_name_Hall '-P 1'
loop_
_atom_site_label
_atom_site_type_symbol
_atom_site_fract_x
_atom_site_fract_y
_atom_site_fract_z
Li1 Li 0.097 0.081 0.096
Li2 Li 0.241 0.006 0.749
Li3 Li 0.305 0.292 0.300
Li4 Li 0.395 0.904 0.397
Ni1 Ni 0.000 0.500 0.000
Ni2 Ni 0.048 0.800 0.548
Ni3 Ni 0.145 0.399 0.654
Ni4 Ni 0.352 0.601 0.850
Ni5 Ni 0.455 0.198 0.951
Ni6 Ni 0.500 0.500 0.500
O1 O 0.028 0.647 0.760
O2 O 0.070 0.962 0.351
O3 O 0.152 0.260 0.876
O4 O 0.172 0.549 0.451
O5 O 0.244 0.167 0.529
O6 O 0.258 0.834 0.964
O7 O 0.332 0.439 0.054
O8 O 0.353 0.741 0.628
O9 O 0.426 0.046 0.150
O10 O 0.459 0.356 0.742
```

Calculated values
**E above lowest polymorph**: 37 meV/atom
**Crystal system**: triclinic


3.
The following is a DFT calculation (PBE+U) of a relaxed structure of Ti5Fe11O24.

The structure in CIF format:
```
data_Ti5Fe11O24
_chemical_formula_sum 'Ti5 Fe11 O24'
_cell_length_a 5.539
_cell_length_b 9.149
_cell_length_c 9.160
_cell_angle_alpha 68.50
_cell_angle_beta 85.28
_cell_angle_gamma 85.01
_space_group_name_H-M_alt 'P 1'
_space_group_IT_number 1
_space_group_name_Hall 'P 1'
loop_
_atom_site_label
_atom_site_type_symbol
_atom_site_fract_x
_atom_site_fract_y
_atom_site_fract_z
Ti1 Ti 0.000 0.000 0.000
Ti2 Ti 0.003 0.492 0.502
Ti3 Ti 0.084 0.640 0.145
Ti4 Ti 0.500 0.000 0.501
Ti5 Ti 0.504 0.496 0.998
Fe1 Fe 0.007 0.746 0.749
Fe2 Fe 0.082 0.144 0.643
Fe3 Fe 0.087 0.390 0.899
Fe4 Fe 0.088 0.894 0.399
Fe5 Fe 0.504 0.248 0.752
Fe6 Fe 0.504 0.749 0.251
Fe7 Fe 0.581 0.392 0.396
Fe8 Fe 0.584 0.143 0.150
Fe9 Fe 0.584 0.893 0.894
Fe10 Fe 0.588 0.643 0.649
Fe11 Fe 0.989 0.244 0.249
O1 O 0.141 0.457 0.105
O2 O 0.144 0.855 0.193
O3 O 0.150 0.952 0.591
O4 O 0.154 0.354 0.681
O5 O 0.270 0.051 0.856
O6 O 0.279 0.550 0.355
O7 O 0.303 0.094 0.300
O8 O 0.305 0.592 0.801
O9 O 0.442 0.681 0.058
O10 O 0.445 0.792 0.448
O11 O 0.454 0.177 0.558
O12 O 0.459 0.292 0.949
O13 O 0.638 0.351 0.183
O14 O 0.640 0.853 0.684
O15 O 0.647 0.944 0.104
O16 O 0.654 0.445 0.607